MG Car Repair: Oil Filter on 54 TF, rubber grommet, bolt head

QUESTION: Mr. Jones,

I am doing a restoration on a 1954 MG TF. My problem for today is the oil filter reassembly. I have a new seal for the bolt, a new seal for the oil filter canister ( for lack of a better word) and a new felt filter. I see that the spring goes on the bolt first.

Next to the piece, the page also holds calculated crystals:
┌──
(1)
Theoretical powder X-ray diffraction pattern of Pr5Mg3 for Cu Kα (λ = 1.5418 Å), from a crystal structure in Alexandria, relaxed with GGA-PBE.

The 12 most intense peaks (2θ = 5–70°), in order of falling intensity:
d_spacing	Rel. int.	h k l
2.860	100	1 0 4
2.737	48	1 1 0
3.773	36	1 0 1
1.603	35	2 1 4
1.935	17	2 0 0
1.677	16	1 1 8
2.131	16	1 1 5
3.395	14	0 0 5
1.696	13	1 0 9
1.430	9	2 0 8
2.122	8	0 0 8
1.722	8	2 1 1

Structural model:
a b c (Å): 3.870 3.870 16.976
angles (deg): 90.00 90.00 90.00
Positions (direct):
Pr (0.000, 0.000, 0.000)
Pr (0.000, 0.000, 0.233)
Pr (0.000, 0.000, 0.767)
Pr (0.500, 0.500, 0.381)
Pr (0.500, 0.500, 0.619)
Mg (0.000, 0.000, 0.500)
Mg (0.500, 0.500, 0.116)
Mg (0.500, 0.500, 0.884)

***

(2)
Theoretical powder X-ray diffraction pattern of Pr2MgPt5Rh2 for Cu Kα (λ = 1.5418 Å), from a crystal structure in Alexandria, relaxed with GGA-PBE.

The 12 most intense peaks (2θ = 5–70°), in order of falling intensity:
d_spacing	Rel. int.	h k l
2.440	100	3 1 1
2.305	46	4 1 0
2.230	45	3 2 1
2.091	36	0 0 2
1.549	27	4 1 2
2.240	25	3 3 0
2.066	23	4 0 1
2.981	19	2 1 1
4.182	19	0 0 1
3.139	16	2 0 1
2.619	16	2 2 1
1.528	15	3 3 2

Structural model:
a b c (Å): 9.503 9.503 4.182
angles (deg): 90.00 90.00 90.00
Positions (direct):
Pr (0.171, 0.329, 0.000)
Pr (0.329, 0.829, 0.000)
Pr (0.671, 0.171, 0.000)
Pr (0.829, 0.671, 0.000)
Mg (0.000, 0.000, 0.000)
Mg (0.500, 0.500, 0.000)
Pt (0.000, 0.500, 0.500)
Pt (0.063, 0.799, 0.500)
Pt (0.201, 0.063, 0.500)
Pt (0.299, 0.563, 0.500)
Pt (0.437, 0.299, 0.500)
Pt (0.500, 0.000, 0.500)
Pt (0.563, 0.701, 0.500)
Pt (0.701, 0.437, 0.500)
Pt (0.799, 0.937, 0.500)
Pt (0.937, 0.201, 0.500)
Rh (0.127, 0.627, 0.000)
Rh (0.373, 0.127, 0.000)
Rh (0.627, 0.873, 0.000)
Rh (0.873, 0.373, 0.000)

***

(3)
Theoretical powder X-ray diffraction pattern of PrMgSc2Pt2 for Cu Kα (λ = 1.5418 Å), from a crystal structure in Alexandria, relaxed with GGA-PBE.

The 12 most intense peaks (2θ = 5–70°), in order of falling intensity:
d_spacing	Rel. int.	h k l
3.504	100	0 1 1
2.379	79	1 1 0
2.590	71	0 1 2
1.752	22	0 2 2
1.954	22	1 0 3
1.411	21	2 1 2
1.968	21	2 0 1
1.517	19	1 2 1
1.364	16	1 1 4
1.374	14	3 0 0
1.936	14	1 1 2
1.623	12	1 1 3

Structural model:
a b c (Å): 4.758 4.758 6.658
angles (deg): 90.00 90.00 120.00
Positions (direct):
Pr (0.000, 0.000, 0.000)
Mg (0.000, 0.000, 0.500)
Sc (0.333, 0.667, 0.669)
Sc (0.667, 0.333, 0.331)
Pt (0.333, 0.667, 0.265)
Pt (0.667, 0.333, 0.735)
└──

I now have two washers and a rubber seal smaller in diameter than the washers but shaped sort of like an inner tube. Does the seal go between the washers and on top of the spring?

Also the(old)larger seal for the whole assembly appeared to be two seals. I ordered and received one seal but also received three seals with the felt filter. Please clue me in. Sould I use more than one seal?

Gratefully yours,

ANSWER: Hi Lynden.  Assembly of the TF oil filter is as follows:

1)   Mount the through-bolt vertically in a vice.
2)   Check that the special rubber grommet is fitted to the centre of the large cupped washer.
3)   Slide the washer onto the bolt, concave side uppermost.
4)   Slide the oil filter casing onto the bolt.
5)   Inside the oil filter casing, fit a 10mm metal washer, the expander spring, and another 10mm metal washer.
6)   At this point, I recommend that you fit an O’ ring onto the bolt.  It should fit snugly on the bolt.
7)   Slide the filter end plate onto the bolt, convex side uppermost.
8)   Fit a circlip to hold all the above items in place.  (My bolt has a circlip groove around it).
9)   Fit the filter element into the casing.
10)     Replace the lip seal in the rim of the oil pump body.  The replacement filter kit usually contains 3 of them, so choose the one that has the correct cross-section and discard the others.  You may need a sharp pick to remove the old seal.
11)     Bolt the filter assembly to the oil pump (Do not over-tighten the bolt).

---------- FOLLOW-UP ----------

Someone pasted data records at this point >
........
This entry pairs a crystal structure of Rb3Ce3AgO8 with its theoretical powder X-ray diffraction pattern. Radiation: Cu Ka. Structure: a GGA-PBE-relaxed structure.

Structural model:
abc: 7.1631 7.1631 19.5235
angles: 90.00 90.00 120.00
Space group R-3m (No. 166, hexagonal axes)
Asymmetric unit:
1 Rb 0.0000 0.5000 0.0000 x9
2 Ce 0.0000 0.5000 0.5000 x9
3 Ag 0.0000 0.0000 0.5000 x3
4 O 0.0000 0.0000 0.2273 x6
5 O 0.0360 0.5180 0.7769 x18

The 12 most intense peaks (10° ≤ 2θ ≤ 90°), low angle first:
2θ = 13.61°, d 6.508, I 44.7, (0 0 3)
2θ = 27.41°, d 3.254, I 38.1, (0 0 6)
2θ = 30.23°, d 2.956, I 77.2, (2 0 2)
2θ = 34.25°, d 2.618, I 100.0, (0 2 4)
2θ = 47.40°, d 1.918, I 33.4, (2 0 8)
2θ = 51.00°, d 1.791, I 31.8, (2 2 0)
2θ = 55.63°, d 1.652, I 19.4, (0 2 10)
2θ = 58.86°, d 1.569, I 27.9, (2 2 6)
2θ = 60.44°, d 1.532, I 11.8, (0 4 2)
2θ = 62.88°, d 1.478, I 15.6, (4 0 4)
2θ = 79.61°, d 1.204, I 12.4, (2 2 12)
2θ = 85.11°, d 1.140, I 13.0, (2 4 4)
........
The entry goes on >

QUESTION: It appears from your answer that I am missing the large cupped washer that goes on the outside of the casing near the bolt head. I also don't see it in the Moss Motors diagram. I don't want to try your patience but is this absolutely required to stop oil leaks or any other reasons.

**The page is interrupted by data records**
/*
Entry 1:
Starting from a PBE-relaxed structure, the powder diffraction line list of CrRuPb was computed for Cu Kα, 1.54184 Å.

Largest 8 diffraction maxima, most intense first, 2θ = 5–70°:
| 2θ/deg | I/Imax |
| --- | --- |
| 37.71 | 100 |
| 42.13 | 40 |
| 30.46 | 34 |
| 30.88 | 17 |
| 15.30 | 16 |
| 64.99 | 16 |
| 53.14 | 15 |
| 64.10 | 14 |

Structure:
abc: 6.1761 6.1761 6.1761
angles: 151.57 151.57 40.64
Sites, in units of the cell vectors:
Cr 0.0000 0.0000 0.0000
Ru 0.3820 0.3820 0.0000
Pb 0.6954 0.6954 0.0000

Entry 2:
Starting from a PBE-relaxed structure, the powder diffraction line list of CrPb2S4 was computed for Cu Kα, 1.54184 Å.

Largest 8 diffraction maxima, most intense first, 2θ = 5–70°:
| 2θ/deg | I/Imax |
| --- | --- |
| 26.38 | 100 |
| 27.84 | 69 |
| 36.67 | 48 |
| 39.78 | 44 |
| 48.37 | 41 |
| 20.45 | 30 |
| 54.31 | 26 |
| 45.63 | 23 |

Structure:
abc: 8.2531 8.2531 8.2531
angles: 148.13 148.13 45.69
Sites, in units of the cell vectors:
Cr 0.0000 0.0000 0.0000
Pb 0.3518 0.3518 0.0000
Pb 0.6482 0.6482 0.0000
S 0.0000 0.5000 0.5000
S 0.1632 0.1632 0.0000
S 0.5000 0.0000 0.5000
S 0.8368 0.8368 0.0000

Entry 3:
Starting from a PBE-relaxed structure, the powder diffraction line list of CrPb2S was computed for Cu Kα, 1.54184 Å.

Largest 8 diffraction maxima, most intense first, 2θ = 5–70°:
| 2θ/deg | I/Imax |
| --- | --- |
| 32.45 | 100 |
| 45.72 | 77 |
| 31.31 | 77 |
| 22.00 | 73 |
| 44.87 | 28 |
| 65.99 | 26 |
| 63.36 | 21 |
| 56.46 | 21 |

Structure:
abc: 6.5245 6.5245 6.5245
angles: 103.49 103.49 122.24
Sites, in units of the cell vectors:
Cr 0.0000 0.0000 0.0000
Cr 0.7500 0.2500 0.5000
Pb 0.1352 0.1250 0.5102
Pb 0.3750 0.8648 0.9898
Pb 0.6148 0.6250 0.4898
Pb 0.8750 0.3852 0.0102
S 0.2500 0.7500 0.5000
S 0.5000 0.5000 0.0000

Entry 4:
Starting from a PBE-relaxed structure, the powder diffraction line list of Cr5PbS8 was computed for Cu Kα, 1.54184 Å.

Largest 8 diffraction maxima, most intense first, 2θ = 5–70°:
| 2θ/deg | I/Imax |
| --- | --- |
| 33.22 | 100 |
| 20.43 | 58 |
| 41.55 | 53 |
| 30.60 | 52 |
| 21.31 | 51 |
| 34.75 | 45 |
| 47.50 | 43 |
| 28.88 | 39 |

Structure:
abc: 9.2060 9.2060 8.6088
angles: 104.11 104.11 21.66
Sites, in units of the cell vectors:
Cr 0.0000 0.0000 0.0000
Cr 0.0432 0.0432 0.3617
Cr 0.3594 0.3594 0.3065
Cr 0.4075 0.4075 0.6669
Cr 0.7012 0.7012 0.3329
Pb 0.2258 0.2258 0.8056
S 0.1254 0.1254 0.1837
S 0.2754 0.2754 0.4941
S 0.4653 0.4653 0.1830
S 0.5309 0.5309 0.8435
S 0.6168 0.6168 0.5094
S 0.7861 0.7861 0.1593
S 0.8750 0.8750 0.8274
S 0.9386 0.9386 0.4904

Entry 5:
Starting from a PBE-relaxed structure, the powder diffraction line list of UCr4PbS8 was computed for Cu Kα, 1.54184 Å.

Largest 8 diffraction maxima, most intense first, 2θ = 5–70°:
| 2θ/deg | I/Imax |
| --- | --- |
| 29.54 | 100 |
| 26.18 | 52 |
| 38.02 | 41 |
| 27.13 | 35 |
| 48.34 | 29 |
| 53.88 | 26 |
| 15.69 | 26 |
| 35.46 | 21 |

Structure:
abc: 7.6720 7.6720 7.6720
angles: 52.67 52.67 52.67
Sites, in units of the cell vectors:
*/

Thanks again,

Depends on the make of the oil filter assembly.  MG used more than one make (Purolator, Tecalemit ...)  They varied in design.  If yours has no large cupped washer, then you just have a different make.  I would inspect the bowl to see if a cup was ever fitted.  They were painted AFTER assembly, so it should be obvious.